Public Safety Power Shutoff is currently in effect or under consideration due to heightened wildfire risk. Visit SCE’s outage page for more information,

Between two parts of the entry: data records.
+++
Material: Eu2O3
Method: DFT, PBE
State: optimized geometry

Cell lengths 3.794, 3.794, 5.986 Å; angles 90.00, 90.00, 60.00 degrees
Element x y z (fractional)
O: 0.000 0.000 0.000
O: 0.667 0.667 0.351
O: 0.333 0.333 0.649
Eu: 0.667 0.667 0.755
Eu: 0.333 0.333 0.245

Results
Corrected total energy (MP2020 scheme): -0.3747 Ha/atom
Formation enthalpy at 0 K: -3.125 eV per atom
Density: 7.8 g/cm³

***

Material: EuO3
Method: DFT, PBE
State: optimized geometry

Cell lengths 3.537, 7.117, 7.117 Å; angles 120.00, 90.00, 90.00 degrees
Element x y z (fractional)
O: 0.750 0.966 0.516
O: 0.750 0.550 0.034
O: 0.250 0.034 0.484
O: 0.250 0.450 0.966
O: 0.250 0.516 0.550
O: 0.750 0.484 0.450
Eu: 0.250 0.667 0.333
Eu: 0.750 0.333 0.667

Results
Spin magnetization: 12.240 μB/cell
Corrected total energy (MP2020 scheme): -0.2935 Ha/atom
ΔE to the lowest computed polymorph: 0.010 eV per formula unit
Formation enthalpy at 0 K: -1.712 eV per atom
Density: 4.3 g/cm³

----------

Record 1
# CsMg14TiO16

CsMg14TiO16 after structural relaxation (GGA-PBE, the Materials Project).

Cell: 8.830 8.773 4.502 Å, 90.00 90.00 90.00°
Fractional positions:
Mg  0.738  0.751  0.000
O  0.287  0.500  0.000
Mg  0.500  0.500  0.000
Ti  0.000  0.000  0.000
O  0.500  0.761  0.000
O  0.248  0.750  0.500
Mg  0.500  0.000  0.000
O  0.000  0.213  0.000
Mg  0.738  0.249  0.000
Mg  0.262  0.500  0.500
Cs  0.000  0.500  0.000
Mg  0.000  0.245  0.500
O  0.713  0.500  0.000
O  0.000  0.500  0.500
O  0.752  0.750  0.500
O  0.746  0.000  0.000
Mg  0.500  0.751  0.500
Mg  0.000  0.755  0.500
O  0.254  0.000  0.000
Mg  0.253  0.000  0.500
O  0.000  0.787  0.000
O  0.248  0.250  0.500
Mg  0.738  0.500  0.500
O  0.752  0.250  0.500
O  0.500  0.239  0.000
Mg  0.747  0.000  0.500
Mg  0.262  0.751  0.000
O  0.500  0.500  0.500
O  0.500  0.000  0.500
O  0.000  0.000  0.500
Mg  0.500  0.249  0.500
Mg  0.262  0.249  0.000

Computed properties:
E ... -185.98 eV per formula unit
Energy relative to the lowest polymorph listed for this composition ... 0.0 meV/atom

Record 2
# CsMg30TiO32

CsMg30TiO32 after structural relaxation (GGA-PBE, the Materials Project).

Cell: 8.685 8.685 8.665 Å, 90.00 90.00 90.00°
Fractional positions:
Mg  0.749  0.749  0.000
Mg  0.749  0.500  0.750
O  0.500  0.251  0.000
O  0.000  0.285  0.500
O  0.715  0.000  0.500
Mg  0.251  0.500  0.750
O  0.500  0.749  0.000
Mg  0.740  0.000  0.751
Mg  0.000  0.500  0.500
Mg  0.500  0.749  0.250
O  0.749  0.500  0.000
O  0.500  0.743  0.500
O  0.743  0.500  0.500
O  0.752  0.752  0.250
Mg  0.251  0.749  0.000
O  0.500  0.000  0.758
Mg  0.000  0.740  0.751
O  0.000  0.000  0.786
Mg  0.745  0.745  0.500
O  0.500  0.257  0.500
Mg  0.500  0.500  0.500
Mg  0.251  0.500  0.250
O  0.000  0.500  0.242
Mg  0.749  0.251  0.000
Mg  0.000  0.260  0.751
Mg  0.260  0.000  0.751
O  0.248  0.248  0.250
O  0.254  0.000  0.000
O  0.000  0.500  0.758
Mg  0.260  0.000  0.249
Mg  0.255  0.745  0.500
Mg  0.255  0.255  0.500
O  0.000  0.254  0.000
Mg  0.500  0.000  0.000
+++

CPA offices and contact center will be closed January 20 in observance of Martin Luther King, Jr. Day.


Heat Domes, Wildfires and Apathy Can Be Risks to Reliability of California’s Energy Grid

Ted Bardacke

Right around this time every year, the questions start coming. How will the grid fare this summer? Are we at risk of system-wide outages? What can people do to prepare? The questions have taken on more urgency since California experienced severe grid stress in the summers of 2020 and 2022. 

The technician in me is pretty optimistic.  

Materials data that have nothing to do with the page =
+++
1.
SrCa7Mn6Al2O20, optimized geometry, DFT GGA+U; polymorph energy (0 for the lowest one) = 0.000 eV per atom; energy of formation from the pure elements = -98.66 eV/f.u.; mass density = 3.9 Mg/m³; calculated volume = 12.78 Å³/atom
1.0
7.648 0.000 0.000
-0.002 7.751 0.000
-0.032 -0.040 7.761
Sr Ca Mn Al O
1 7 6 2 20
direct
0.000 0.000 0.000
0.002 0.515 0.489
0.007 0.995 0.483
0.498 0.511 0.942
0.498 0.996 0.475
0.502 0.523 0.466
0.503 0.019 0.935
0.984 0.519 0.036
0.247 0.753 0.714
0.256 0.755 0.217
0.286 0.261 0.217
0.739 0.757 0.720
0.752 0.260 0.238
0.756 0.761 0.236
0.226 0.262 0.735
0.776 0.264 0.751
0.008 0.746 0.265
0.026 0.278 0.262
0.202 0.736 0.966
0.276 0.052 0.664
0.278 0.464 0.650
0.296 0.003 0.194
0.296 0.764 0.458
0.308 0.264 0.949
0.317 0.514 0.206
0.490 0.762 0.774
0.515 0.253 0.330
0.689 0.764 0.469
0.698 0.059 0.693
0.703 0.467 0.684
0.749 0.510 0.244
0.751 0.267 0.976
0.765 0.754 0.982
0.770 0.012 0.245
0.992 0.764 0.674
0.998 0.259 0.696

***

2.
Na9Mn15O32, optimized geometry, DFT GGA+U; polymorph energy (0 for the lowest one) = 0.023 eV per atom; energy of formation from the pure elements = -106.33 eV/f.u.; mass density = 4.0 Mg/m³; calculated volume = 11.30 Å³/atom
1.0
5.961 0.000 0.000
2.967 5.348 0.000
2.793 -1.032 19.855
Na Mn O
9 15 32
direct
0.000 0.000 0.000
0.050 0.239 0.658
0.056 0.735 0.153
0.434 0.038 0.092
0.444 0.527 0.593
0.556 0.473 0.407
0.566 0.962 0.908
0.944 0.265 0.847
0.950 0.761 0.342
0.000 0.000 0.500
0.000 0.500 0.000
0.000 0.500 0.500
0.001 0.249 0.249
0.251 0.122 0.375
0.259 0.606 0.876
0.497 0.250 0.751
0.498 0.751 0.752
0.500 0.000 0.500
0.500 0.500 0.000
0.502 0.249 0.248
0.503 0.750 0.249
0.741 0.394 0.124
0.749 0.878 0.625
0.999 0.751 0.751
0.053 0.263 0.068
0.087 0.703 0.551
0.157 0.641 0.046
0.159 0.452 0.804
0.160 0.955 0.304
0.161 0.867 0.809
0.165 0.123 0.552
0.165 0.369 0.307
0.338 0.871 0.442
0.339 0.287 0.447
0.352 0.350 0.945
0.359 0.575 0.703
0.361 0.071 0.202
0.384 0.739 0.931
0.404 0.048 0.700
0.416 0.548 0.195
0.584 0.452 0.805
0.596 0.952 0.300
0.616 0.261 0.069
0.639 0.929 0.798
0.641 0.425 0.297
0.648 0.650 0.055
0.661 0.713 0.553
0.662 0.129 0.558
0.835 0.631 0.693
0.835 0.877 0.448
0.839 0.133 0.191
0.840 0.045 0.696
0.841 0.548 0.196
0.843 0.359 0.954
0.913 0.297 0.449
0.947 0.737 0.932

***

3.
Li9Mn7O16, optimized geometry, DFT GGA+U; polymorph energy (0 for the lowest one) = 0.042 eV per atom; energy of formation from the pure elements = -67.28 eV/f.u.; mass density = 3.9 Mg/m³; calculated volume = 9.44 Å³/atom
1.0
3.033 0.000 0.000
-0.353 5.100 0.000
-0.242 -1.633 19.520
Li Mn O
9 7 16
direct
0.000 0.000 0.000
0.055 0.691 0.119
0.188 0.062 0.375
0.313 0.437 0.625
0.431 0.827 0.883
0.569 0.173 0.117
0.687 0.563 0.375
0.812 0.938 0.625
0.945 0.309 0.881
0.121 0.376 0.249
0.250 0.750 0.500
0.378 0.124 0.751
0.500 0.500 0.000
0.622 0.876 0.249
0.750 0.250 0.500
0.879 0.624 0.751
0.010 0.634 0.946
0.069 0.042 0.192
0.183 0.709 0.308
0.191 0.416 0.442
0.309 0.083 0.558
+++
Back to the page =

The California Independent System Operator (CAISO) reports that the state’s electricity grid is expected to have a surplus of resources for all summer months. This rosy outlook is largely due to three factors. 

-- Unrelated to this entry: crystal structures --
'''
# 1
Material: IrBr6N2
Method: DFT, PBE
State: relaxed

Symmetry: Fm-3m
Calculated formation energy in eV/atom: 1.044
Total energy after the MP2020 corrections in eV per atom: -2.88

Cell and atoms, written as extended XYZ:
```
9
Lattice="0.834 -7.152 -1.045 -2.438 -4.713 4.978 -5.787 -4.163 -1.458" Properties=species:S:1:pos:R:3 pbc="T T T"
N -1.848 -4.007 0.619
N -5.543 -12.021 1.857
Br -2.605 -10.022 2.643
Br -1.333 -7.565 0.047
Br -6.057 -8.464 2.428
Br -4.786 -6.006 -0.168
Br -4.351 -9.735 -0.713
Br -3.040 -6.293 3.188
Ir 0.000 0.000 0.000
```

---

# 2
Material: Rb3IrBr6O
Method: DFT, PBE
State: relaxed

Symmetry: Pnma
Calculated formation energy in eV/atom: -0.883
Total energy after the MP2020 corrections in eV per atom: -3.30

Cell and atoms, written as extended XYZ:
```
44
Lattice="-4.026 -5.557 2.842 5.087 -8.148 -8.726 11.435 -3.299 9.746" Properties=species:S:1:pos:R:3 pbc="T T T"
Br 11.721 -7.480 6.828
Br 2.736 -3.711 1.471
Br -0.702 -4.081 0.448
Br 8.507 -6.914 -1.187
Br 3.705 -3.819 -1.928
Br 9.647 -10.222 -1.470
Br 1.813 -6.430 -0.592
Br 8.470 -8.534 -4.397
Br 6.578 -11.145 -3.062
Br 8.791 -13.184 5.791
Br 0.776 -9.523 -2.965
Br 7.092 -9.182 6.648
Br 3.989 -10.089 5.050
Br 1.193 -1.464 -0.890
Br 5.404 -7.821 -2.785
Br 4.026 -8.470 8.260
Br 5.885 -7.473 3.712
Br 5.918 -5.858 6.925
Br 6.611 -9.531 0.151
Br 2.849 -6.781 5.333
Br 11.303 -15.539 4.753
Br 9.760 -13.292 2.392
Br 13.198 -12.922 3.415
Br 10.683 -10.573 4.455
Ir 4.955 -7.978 5.976
Ir 11.002 -13.063 4.600
Ir 1.494 -3.941 -0.737
Ir 7.541 -9.025 -2.113
O 9.345 -8.127 2.198
O 3.531 -12.326 -4.542
O 8.965 -4.677 8.405
O 3.151 -8.876 1.665
Rb 9.992 -10.522 8.136
Rb 0.443 -6.315 2.837
Rb 7.047 -7.462 9.950
Rb 5.292 -6.157 0.311
Rb 7.627 -13.180 -0.411
Rb 3.529 -10.546 -1.064
Rb 5.449 -9.542 -6.087
Rb 12.053 -10.688 1.026
Rb 7.204 -10.847 3.552
Rb 8.967 -6.458 4.927
Rb 4.869 -3.823 4.274
Rb 2.504 -6.481 -4.273
```

* * * * *

First-principles (PBE with a Hubbard U) data for crystalline Li4Mn3P3O12F at its relaxed geometry, as listed in the Materials Project.

Summary:
The calculation puts the piezoelectric modulus e_max at 0.13 C/m2. The final energy is -158.93 eV per formula unit. As for the magnetization: 30.00 μB/cell. The value obtained for the energy of formation is -2608 meV per atom.

Unit cell a=8.5048 b=8.5048 c=8.5048 alpha=90.00 beta=90.00 gamma=90.00
Sites, in units of the cell vectors:
Li  0.1424  0.1424  0.1424
Li  0.1424  0.8576  0.8576
Li  0.3576  0.3576  0.6424
Li  0.3576  0.6424  0.3576
Li  0.6424  0.3576  0.3576
Li  0.6424  0.6424  0.6424
Li  0.8576  0.1424  0.8576
Li  0.8576  0.8576  0.1424
Mn  0.0000  0.5000  0.2500
Mn  0.0000  0.5000  0.7500
Mn  0.2500  0.0000  0.5000
Mn  0.5000  0.2500  0.0000
Mn  0.5000  0.7500  0.0000
Mn  0.7500  0.0000  0.5000
P  0.0000  0.2500  0.5000
P  0.0000  0.7500  0.5000
P  0.2500  0.5000  0.0000
P  0.5000  0.0000  0.2500
P  0.5000  0.0000  0.7500
P  0.7500  0.5000  0.0000
O  0.1179  0.3513  0.5968
O  0.1179  0.6487  0.4032
'''

First, we’ve had good weather (from an energy standpoint). The state’s rainy winter and spring has given us access to an above-average amount of hydro power. 

Second, and perhaps most importantly, the state is projected to have added 9,071 MW of new resources to the grid from September 2023 to June 2024; CPA alone added 771 MW of new energy and storage capacity to the grid during the same time period and continues to be compliant with all its regulatory obligations for reliability. 

Third, in an emergency, the California Department of Water Resources can now call upon over 2,800 MW of additional capacity in the newly created Strategic Reliability Reserve Program. These resources, generally aging natural gas plants that had been slated to be retired permanently, sit idle if and when the grid is operating normally. 

So, despite the positive data, why am I less certain and see reasons for some pessimism. Fundamentally because there are so many things that are out of our control and have to do with the increasingly unpredictable climate and how people react when under stress. 

Here are the major risks: 

  • Heat domes. I hereby nominate “heat dome” for the 2024 word of the year, having forced its way into our lexicon, and supplanting heat wave as the go to expression for dangerous heat. Unlike a heat wave, which rolls over and across a particular local area in a few days, heat domes plant themselves over an entire region for a week or more. Plausibly linked to our changing climate, heat domes have a disproportionate impact on the grid, because their length and geographic breadth puts additional strain on infrastructure and makes resources from nearby states less accessible. Heat domes have already planted themselves over the Pacific Northwest and the Southeast this month. 
  • Wildfires. Summer is the core of our ever-lengthening wildfire season. And while fire is not a reliability risk itself, it can create risks, either locally via Public Safety Power Shutoffs (PSPS), or if they strike in areas crossed by major transmission lines, as the failure of a single major transmission line can quickly diminish available grid resources. The early fire in northern Los Angeles County near Gorman already sparked PSPS warnings from SCE and it is easy to see how the recent large fire in New Mexico could be duplicated here in California. In California this year we’ve already had five times the average number of acres burned by fire than the historical average for the same time period. 
  • Apathy. The grid serves people. And our behavior is the ultimate backstop. If people are indifferent to participating in energy conservation, we can be at risk. Thankfully, thus far, we’ve seen the opposite. On September 6, 2022, during the course of an unprecedented extended heat wave, a late afternoon emergency cell phone alert from Governor Gavin Newsom called on people to conserve energy. People responded, which caused electricity demand throughout the state to drop over 5 percent over a 45- minute period, enough to save the grid from rolling blackouts. The question is, would we collectively respond again in the same way? Will my teenage son do like he did last time and run around our house switching everything off? I would hope so. But we also need to grow greater participation in energy savings programs like CPA’s Power Response, which automate demand reduction when immediate action is needed. 

So, left-brained people, rest easy. And right-brained people take the uncertainty out of things by signing up for Power Response. And everyone, stay cool and please be careful with matches.